Green Stripe (gs) - A new characteristic

Larson R. E. and Pollack, B. L.

• Materials data, kept here for reference:
┌──
# 1
Sb4Se3SI4: optimized geometry, PBEsol.

Computed properties:
Space-group type: Pm (6)
Electronic total energy in eV for the cell shown: -45.07
Size of the total moment in μB/atom: 0.00
E_form (uncorrected) in eV per atom: -0.320

Unit cell a=8.579 b=4.074 c=10.425 alpha=90.00 beta=90.18 gamma=90.00
Positions (direct):
Sb (0.000, 0.000, 0.000)
Sb (0.238, 0.500, 0.748)
Sb (0.501, 0.000, 0.246)
Sb (0.741, 0.500, 0.508)
Se (0.293, 0.000, 0.925)
Se (0.449, 0.500, 0.423)
Se (0.790, 0.000, 0.330)
S (0.966, 0.500, 0.835)
I (0.094, 0.000, 0.554)
I (0.136, 0.500, 0.198)
I (0.601, 0.000, 0.704)
I (0.646, 0.500, 0.051)

---

# 2
Sn2SbS2I3: optimized geometry, PBEsol.

Computed properties:
Space-group type: Cmcm (63)
Electronic total energy in eV for the cell shown: -60.06
Size of the total moment in μB/atom: 0.00
E_form (uncorrected) in eV per atom: -0.361

Unit cell a=7.230 b=7.230 c=15.758 alpha=90.00 beta=90.00 gamma=145.98
Positions (direct):
Sn (0.129, 0.871, 0.527)
Sn (0.129, 0.871, 0.973)
Sn (0.871, 0.129, 0.027)
Sn (0.871, 0.129, 0.473)
Sb (0.198, 0.802, 0.250)
Sb (0.802, 0.198, 0.750)
S (0.269, 0.731, 0.085)
S (0.269, 0.731, 0.415)
S (0.731, 0.269, 0.585)
S (0.731, 0.269, 0.915)
I (0.147, 0.853, 0.750)
I (0.436, 0.564, 0.632)
I (0.436, 0.564, 0.868)
I (0.564, 0.436, 0.132)
I (0.564, 0.436, 0.368)
I (0.853, 0.147, 0.250)

---

# 3
SnSbSI2: optimized geometry, PBEsol.

Computed properties:
Space-group type: P4/mmm (123)
Electronic total energy in eV for the cell shown: -13.18
Size of the total moment in μB/atom: 0.06
Fermi-level density of states in states/eV per atom: 0.7357
E_form (uncorrected) in eV per atom: 0.712

Unit cell a=5.703 b=5.703 c=5.874 alpha=90.00 beta=90.00 gamma=90.00
Positions (direct):
Sn (0.000, 0.000, 0.000)
Sb (0.000, 0.000, 0.500)
S (0.500, 0.500, 0.500)
I (0.000, 0.500, 0.000)
I (0.500, 0.000, 0.000)

---

# 4
TaSb2SI: optimized geometry, PBEsol.

Computed properties:
Space-group type: P4/mmm (123)
Electronic total energy in eV for the cell shown: -24.70
Size of the total moment in μB/atom: 0.00
Fermi-level density of states in states/eV per atom: 0.7257
E_form (uncorrected) in eV per atom: 0.624

Unit cell a=5.320 b=5.320 c=5.160 alpha=90.00 beta=90.00 gamma=90.00
Positions (direct):
Ta (0.000, 0.000, 0.000)
Sb (0.000, 0.500, 0.000)
Sb (0.500, 0.000, 0.000)
S (0.500, 0.500, 0.500)
I (0.000, 0.000, 0.500)

---

# 5
TiSb2SI: optimized geometry, PBEsol.

Computed properties:
Space-group type: P4/mmm (123)
Electronic total energy in eV for the cell shown: -20.11
Size of the total moment in μB/atom: 0.31
Fermi-level density of states in states/eV per atom: 1.4648
E_form (uncorrected) in eV per atom: 0.696

Unit cell a=5.128 b=5.128 c=5.126 alpha=90.00 beta=90.00 gamma=90.00
Positions (direct):
Ti (0.000, 0.000, 0.000)
Sb (0.000, 0.500, 0.500)
Sb (0.500, 0.000, 0.500)
S (0.500, 0.500, 0.500)
I (0.500, 0.500, 0.000)

---

# 6
TlSbSI2: optimized geometry, PBEsol.

Computed properties:
Space-group type: P4/mmm (123)
└──
• Back to the text:

During the summer of 1948, a local gardener brought samples of an unusual fruit-striping mutation of a single plant occurring in his garden. Seed was saved and plants grown in 1949. All plants bred true for the characteristic. Unforturately the variety from which this mutant was obtained is unknown but it is believed to have been derived from Gulf State market. The type of striping differs from that reported by Young and Macarthur (Texas Ag. Exp. Sta. Bul. 698. 1947) and is thought to be a new characteristic. It appears to be caused by irregular pigmentation of the inner epidemis. The affected layer has a high chlorophyll content as evidenced by the dark green stripes or blotches in the immature fruits of either the UU or uu type. In the maturation process the stripes or blotches maintain theier green color for a longer period of time than on the remainder of the fruit. The pigmentation of the inner epidermis is sufficient to prevent the expression of the flesh color though the skin, although the characteristic does not affect the flesh color per se.

**Inserted here: records of crystals:**
+++
A plane-wave DFT calculation with PBE-GGA was carried out for an optimized crystal structure of Cs3TaTe6Pb2.

Uncorrected formation energy = -0.631 eV/atom

Cell and atoms, written as CIF:
```
data_Cs3TaTe6Pb2
_cell_length_a 8.042
_cell_length_b 13.864
_cell_length_c 9.070
_cell_angle_alpha 90.00
_cell_angle_beta 107.08
_cell_angle_gamma 90.00
_space_group_name_H-M_alt 'C 1 2/m 1'
_space_group_IT_number 12
loop_
_space_group_symop_operation_xyz
'x,y,z'
'-x,-y,-z'
'-x,y,-z'
'x,-y,z'
'x+1/2,y+1/2,z'
'-x+1/2,-y+1/2,-z'
'-x+1/2,y+1/2,-z'
'x+1/2,-y+1/2,z'
loop_
_atom_site_label
_atom_site_type_symbol
_atom_site_fract_x
_atom_site_fract_y
_atom_site_fract_z
Cs1 Cs 0.000 0.000 0.000
Cs2 Cs 0.000 0.322 0.000
Ta1 Ta 0.000 0.500 0.500
Te1 Te 0.208 0.353 0.683
Te2 Te 0.229 0.500 0.312
Pb1 Pb 0.000 0.165 0.500
```

---

A plane-wave DFT calculation with PBE-GGA was carried out for an optimized crystal structure of CsTbPb2.

Energy above the lowest structure with this stoichiometry = 0.181 eV per atom

Cell and atoms, written as CIF:
```
data_CsTbPb2
_cell_length_a 3.8454
_cell_length_b 3.8454
_cell_length_c 34.2050
_cell_angle_alpha 90.00
_cell_angle_beta 90.00
_cell_angle_gamma 120.00
_space_group_name_H-M_alt 'R -3 m'
_space_group_IT_number 166
_space_group_name_Hall '-R 3 2"'
loop_
_atom_site_label
_atom_site_type_symbol
_atom_site_fract_x
_atom_site_fract_y
_atom_site_fract_z
Cs1 Cs 0.0000 0.0000 0.0000
Tb1 Tb 0.0000 0.0000 0.5000
Pb1 Pb 0.0000 0.0000 0.2395
```

---

A plane-wave DFT calculation with PBE-GGA was carried out for an optimized crystal structure of CsTbPb2.

Energy above the lowest structure with this stoichiometry = 0.000 eV per atom

Cell and atoms, written as CIF:
```
data_CsTbPb2
_cell_length_a 4.179
_cell_length_b 4.179
_cell_length_c 8.641
_cell_angle_alpha 90.00
_cell_angle_beta 90.00
_cell_angle_gamma 90.00
_space_group_name_H-M_alt 'P 4/m m m'
_space_group_IT_number 123
_space_group_name_Hall '-P 4 2'
loop_
_atom_site_label
_atom_site_type_symbol
_atom_site_fract_x
_atom_site_fract_y
_atom_site_fract_z
Cs1 Cs 0.000 0.000 0.000
Tb1 Tb 0.000 0.000 0.500
Pb1 Pb 0.500 0.500 0.321
```

---

A plane-wave DFT calculation with PBE-GGA was carried out for an optimized crystal structure of CsTbTe3Pb.

Uncorrected formation energy = -1.025 eV/atom

Cell and atoms, written as CIF:
```
data_CsTbTe3Pb
_cell_length_a 9.938
_cell_length_b 4.523
_cell_length_c 12.282
_cell_angle_alpha 90.00
_cell_angle_beta 109.52
_cell_angle_gamma 90.00
_space_group_name_H-M_alt 'P 1 21/m 1'
_space_group_IT_number 11
loop_
_space_group_symop_operation_xyz
'x,y,z'
'-x,-y,-z'
'-x,y+1/2,-z'
'x,-y+1/2,z'
loop_
_atom_site_label
_atom_site_type_symbol
_atom_site_fract_x
_atom_site_fract_y
_atom_site_fract_z
Cs1 Cs 0.221 0.250 0.264
Tb1 Tb 0.366 0.750 0.850
Te1 Te 0.132 0.250 0.806
Te2 Te 0.350 0.750 0.587
Te3 Te 0.409 0.750 0.109
Pb1 Pb 0.138 0.250 0.567
```

---
+++
**Here the text continues:**

In the mature fruit of the R Y types the stripe appears gold in color. The R y segregates produce a beige colored stripe in contrast to the pink appearance of the remainder of the fruit. The exterior color of the r y fruits is a light translucent yellow in the normal and an opague golden yellow in the presence of the affected layer.

The characteristic appears to be inherited as a monorecessive, as shown in the table, and has been given the gene symbol gs. It is highly probrible the complete recessive promotes a high rate of mutation in the somatic cells of the inner epidermis, whereas the heterozygous or homozygous dominant prevents this expression. On the basis of prelinminary studies, from F2 data, there appears to be no association of gs with the characteristics d, r, c, a, and l.

(Next to the page, the page also holds calculated crystals)
+++
DFT (PBE) results for a relaxed ScBe2Cr crystal.

The structure belongs to space group Fm-3m (No. 225); the cell edges are 5.9669, 5.9669 and 5.9669 Å and the angles 90.00°, 90.00° and 90.00°. Symmetry generates all atoms from Sc at (0.0000, 0.0000, 0.0000), Be at (0.2500, 0.2500, 0.2500) and Cr at (0.0000, 0.0000, 0.5000).

As for the raw total energy: -91.8 eV per cell. As for the density of states at the Fermi level: 13.0 states/eV per cell. Its size of the total moment is 11.89 μB/cell. The formation enthalpy at 0 K comes out at 0.12 eV/atom. For the offset from the most stable computed form, the calculation gives 0.072 eV per atom.



DFT (PBE) results for a relaxed PrNdEr3 crystal.

The structure belongs to space group P2_1/m (No. 11); the cell edges are 3.6374, 11.5761 and 8.6757 Å and the angles 90.00°, 102.09° and 90.00°. Symmetry generates all atoms from Pr at (0.0145, 0.2500, 0.0264), Nd at (0.3117, 0.7500, 0.6236), Er at (0.1595, 0.5026, 0.3190) and Er at (0.3483, 0.2500, 0.6952).

As for the raw total energy: -43.5 eV per cell. As for the density of states at the Fermi level: 13.6 states/eV per cell. Its size of the total moment is 0.00 μB/cell. The formation enthalpy at 0 K comes out at 0.30 eV/atom. For the offset from the most stable computed form, the calculation gives 0.064 eV per atom.
+++

Segregation in the F2  generation for normal
        and green stripe fruit types
                   Normal       Mutant         P from 
                 _______________________      X^2  for
Population No.    Obs.  Calc.  Obs.  Calc.      3:1
       1          85    89.25   34  29.75   0.50 - 0.20     
       2          91    88.50   27  29.50   0.95 - 0.50
      17         162   172.50   68  57.50   0.20 - 0.10
Total                                       0.50 - O.2O
Deviation        338   350.25  129 116.75   0.20 - 0.10
Heterogeneity                               0.50 - 0.20